-- begin --
(P)
16
Lattice="-4.379 4.379 6.231 4.379 -4.379 6.231 4.379 4.379 -6.231" Properties=species:S:1:pos:R:3 comment="Dy4Tm3Sc GGA-PBE relaxed" sg=I4/mcm pbc="T T T"
Dy 3.062 -1.317 2.027
Dy 5.696 -1.317 4.204
Dy 5.696 1.317 2.027
Dy 3.062 1.317 4.204
Dy 1.317 3.062 2.027
Dy -1.317 3.062 4.204
Dy -1.317 5.696 2.027
Dy 1.317 5.696 4.204
Tm 3.084 1.295 0.000
Tm 0.000 0.000 3.116
Tm 3.084 -1.295 6.231
Tm 1.295 5.674 0.000
Tm 0.000 0.000 9.347
Tm 1.295 3.084 6.231
Sc 0.000 0.000 0.000
Sc 0.000 0.000 6.231

---

(Q)
16
Lattice="11.048 0.000 0.000 0.000 7.132 0.000 0.000 0.000 6.169" Properties=species:S:1:pos:R:3 comment="Dy4Tm3Sc GGA-PBE relaxed" sg=Pmn2_1 pbc="T T T"
Dy 0.000 0.912 0.000
Dy 0.000 6.221 3.048
Dy 2.723 6.217 5.138
Dy 2.800 0.915 2.053
Dy 5.524 0.911 6.132
Dy 5.524 6.220 3.085
Dy 8.247 0.915 2.053
Dy 8.324 6.217 5.138
Tm 0.000 2.693 3.065
Tm 2.756 2.697 5.110
Tm 2.768 4.435 2.025
Tm 5.524 4.439 6.150
Tm 8.280 4.435 2.025
Tm 8.292 2.697 5.110
Sc 0.000 4.437 6.148
Sc 5.524 2.695 3.064

---

Which of them is most stable? Easy: (Q).

---

(P)
13
Lattice="11.155 -3.272 0.000 11.155 3.272 0.000 -1.304 0.000 5.305" Properties=species:S:1:pos:R:3 comment="Dy2Tm8Sc3 GGA-PBE relaxed" sg=C2/m pbc="T T T"
Dy 4.705 0.000 1.190
Dy 16.302 0.000 4.114
Tm 1.551 0.000 0.397
Tm 7.403 1.701 1.860
Tm 6.162 0.000 4.366
Tm 13.604 1.701 3.444
Tm 7.403 -1.701 1.860
Tm 14.845 0.000 0.939
Tm 13.604 -1.701 3.444
Tm 19.456 0.000 4.908
Sc 10.504 1.696 2.652
Sc 11.155 0.000 0.000
Sc 10.504 -1.696 2.652

---

(Q)
13
Lattice="3.703 -9.808 0.000 3.703 9.808 0.000 0.000 0.000 5.417" Properties=species:S:1:pos:R:3 comment="Dy2Tm8Sc3 GGA-PBE relaxed" sg=Cmmm pbc="T T T"
Dy 3.703 5.098 0.000
Dy 3.703 -5.098 0.000
Tm 3.703 7.330 2.708
Tm 2.127 2.011 0.000
Tm 3.703 3.181 2.708
Tm 2.127 -2.011 0.000
Tm 5.279 2.011 0.000
Tm 3.703 -3.181 2.708
Tm 5.279 -2.011 0.000
Tm 3.703 -7.330 2.708
Sc 0.000 0.000 0.000
Sc 2.141 0.000 2.708
Sc 5.265 0.000 2.708

---

Which of them is most stable? Easy: (P).

---

(P)
13
Lattice="7.255 -4.490 0.000 7.255 4.490 0.000 -2.172 0.000 6.247" Properties=species:S:1:pos:R:3 comment="Dy3Tm8Sc2 GGA-PBE relaxed" sg=C2/m pbc="T T T"
Dy 0.000 0.000 0.000
Dy 6.169 2.946 3.123
Dy 6.169 -2.946 3.123
Tm 0.827 0.000 5.599
Tm 3.760 1.625 5.059
Tm 5.363 0.000 1.727
Tm 8.578 1.625 1.188
Tm 3.760 -1.625 5.059
Tm 6.975 0.000 4.520
Tm 8.578 -1.625 1.188
Tm 11.511 0.000 0.648
Sc 2.071 0.000 2.644
Sc 10.267 0.000 3.603

---

(Q)
13
Lattice="3.780 -9.679 0.000 3.780 9.679 0.000 0.000 0.000 5.491" Properties=species:S:1:pos:R:3 comment="Dy3Tm8Sc2 GGA-PBE relaxed" sg=Cmmm pbc="T T T"
Dy 0.000 0.000 0.000
Dy 2.167 0.000 2.745
Dy 5.392 0.000 2.745
Tm 3.780 7.053 2.745
Tm 2.188 2.187 0.000
Tm 3.780 3.403 2.745
Tm 2.188 -2.187 0.000
Tm 5.371 2.187 0.000
Tm 3.780 -3.403 2.745
Tm 5.371 -2.187 0.000
Tm 3.780 -7.053 2.745
Sc 3.780 5.013 0.000
Sc 3.780 -5.013 0.000

---

Which of them is most stable? Easy: (P).

---

(P)
14
Lattice="3.570 0.000 0.000 0.000 20.917 0.000 0.000 0.000 5.223" Properties=species:S:1:pos:R:3 comment="DyTm2Sc4 GGA-PBE relaxed" sg=Cmmm pbc="T T T"
Dy 0.000 0.000 0.000
Dy 1.785 10.458 0.000
Tm 0.000 8.919 2.612
Tm 0.000 11.998 2.612
Tm 1.785 1.539 2.612
Tm 1.785 19.378 2.612
Sc 0.000 4.118 2.612
Sc 0.000 6.711 0.000
Sc 0.000 14.206 0.000
Sc 0.000 16.799 2.612
Sc 1.785 3.747 0.000
Sc 1.785 6.341 2.612
Sc 1.785 14.576 2.612
Sc 1.785 17.170 0.000

---

(Q)
14
Lattice="10.532 0.000 0.000 0.000 11.027 0.000 0.000 0.000 3.353" Properties=species:S:1:pos:R:3 comment="DyTm2Sc4 GGA-PBE relaxed" sg=Cmmm pbc="T T T"
Dy 0.000 0.000 0.000
Dy 5.266 5.513 0.000
Tm 2.067 5.513 1.677
Tm 3.199 0.000 1.677
Tm 7.333 0.000 1.677
Tm 8.465 5.513 1.677
Sc 0.000 2.992 1.677
Sc 0.000 8.034 1.677
Sc 2.633 2.757 0.000
Sc 2.633 8.270 0.000
Sc 5.266 2.521 1.677
Sc 5.266 8.506 1.677
Sc 7.899 2.757 0.000
Sc 7.899 8.270 0.000

---

Which of them is most stable? Easy: (P).

---

(P)
16
-- stop --
Search the notes above for the word "most" and copy each line that has it.
Which of them is most stable? Easy: (Q).
Which of them is most stable? Easy: (P).
Which of them is most stable? Easy: (P).
Which of them is most stable? Easy: (P).